Put anyone of this trio ahead of the others in your business: shareholders, clients, or employees. I guarantee your business will lack energy and long-term viability.
This is the law of business longevity and I challenge you to try to disprove it by pointing to one viable and thriving business that compromises on anyone in this trio.
When you put shareholders first
It happens time and time again in both small and large business. One year “valuable” employees are sacrificed to keep an earnings promise to shareholders.
Next year, clients feel the effect in compromised quality on service or product while the business struggles to meet earnings targets.
Greed and shortsightedness are the obvious sins. Focusing only on earnings and shareholder wealth is like building a house of cards. It’s only a matter of time before this shortsightedness unfolds and disaster strikes.
But also remember that shareholder satisfaction is the easiest to measure of the three because it may simply be a monetary measure (e.g., 20% EBIT growth).
However, when we aim to protect and promote the viability and sustainability of this growth, we begin to appreciate the crucial value that client satisfaction and employee engagement play.
When you put customers first
I am bemused to hear about the latest “Customer Obsession” motto from an executive in a major Australian bank.
At the same time, most of the employees I meet from this bank, senior executives, middle and junior managers alike, seem completely disengaged; under-resourced with terrible work pressures.
All these sacrifices are for customers’ sake.
If this environment is actually a fair representation of employee morale across the bank, how can the mantra of ‘the customer comes first’ ever mean anything to these disengaged employees? The very people who hold the key to customer satisfaction?
____________
Simulated X-ray diffraction stick pattern of Mg14NiBiO16 for Cu Kα (weighted mean of Kα1 and Kα2), from a DFT-relaxed cell (PBE+U, the Materials Project).
Intensities are scaled so that the largest is 100.

Most intense lines, 10° ≤ 2θ ≤ 80°, in order of rising 2θ:
2θ/deg	I (rel.)
10.11	100.0
20.42	39.7
22.77	39.6
22.85	39.1
28.91	34.9
30.82	34.6
35.65	54.5
41.17	52.0
41.44	52.5
41.60	50.1

Crystal structure
Cell lengths 4.3579, 8.6843, 8.7695 Å; angles 90.00, 90.00, 90.00 degrees
Space group Pmmm (No. 47)
Asymmetric unit:
Mg1 0.0000 0.0000 0.0000 [1 per cell]
Mg2 0.0000 0.2364 0.2443 [4 per cell]
Mg3 0.0000 0.5000 0.0000 [1 per cell]
Mg4 0.5000 0.0000 0.2510 [2 per cell]
Mg5 0.5000 0.2295 0.5000 [2 per cell]
Mg6 0.5000 0.2451 0.0000 [2 per cell]
Mg7 0.5000 0.5000 0.2347 [2 per cell]
Ni1 0.0000 0.0000 0.5000 [1 per cell]
Bi1 0.0000 0.5000 0.5000 [1 per cell]
O1 0.0000 0.0000 0.2269 [2 per cell]
O2 0.0000 0.2372 0.5000 [2 per cell]
O3 0.0000 0.2522 0.0000 [2 per cell]
O4 0.0000 0.5000 0.2327 [2 per cell]
O5 0.5000 0.0000 0.0000 [1 per cell]
O6 0.5000 0.0000 0.5000 [1 per cell]
O7 0.5000 0.2514 0.2518 [4 per cell]
O8 0.5000 0.5000 0.0000 [1 per cell]
O9 0.5000 0.5000 0.5000 [1 per cell]

* * * * *

Diffraction record for ErLuAg4. The powder diffractogram is calculated, not measured: it uses a crystal structure in OQMD, relaxed with GGA-PBE and λ = 1.5418 Å (Cu Kα).
Kinematic intensities with the Lorentz-polarization factor, no thermal factor.

Most intense lines, 2θ = 15–90°, in order of rising 2θ:
| 2θ/deg | d/Å | Rel. int. |
| --- | --- | --- |
| 34.48 | 2.601 | 66.9 |
| 38.29 | 2.351 | 100.0 |
| 49.56 | 1.839 | 23.5 |
| 64.31 | 1.449 | 42.0 |
| 71.61 | 1.318 | 15.1 |
| 81.97 | 1.175 | 10.6 |

Structure:
a b c (Å): 3.679 3.679 9.170
angles (deg): 90.00 90.00 90.00
Fractional positions:
Er  0.000  0.000  0.000
Lu  0.500  0.500  0.500
Ag  0.000  0.000  0.331
Ag  0.000  0.000  0.669
Ag  0.500  0.500  0.170
Ag  0.500  0.500  0.830
____________
When you put employees first
What does this mean?
It is difficult to think of a viable business where employees take precedence to the detriment of clients and/or shareholders.
However, Ken Grenda owner of Grenda Corporation, a bus operator and maker, was truly an inspiring entrepreneur who did all he could to protect and support his employees even after the sale of his business to Ventura.
First, he gave each employee a share of the sale proceeds, averaging $8,500 depending on length of service (some reached many tens of thousands of dollars).
Next, he ensured that they are protected and taken care of by the new business owners as a condition of sale!
You can imagine what employees would do for such an employer. And Ken acknowledged just that: “A business is as good as its people.”
It takes strong leadership to bring all three dancers to the same tune.
Profits are crucial to sustain an economically viable business. Profits should protect and sustain a fulfilling work-life balance for employees.
Employees ensure clients receive the valued solutions to their needs.
Clients will be willing and happy to pay the right price for the right service.